Are you ready for weight loss? Simply put, if you are not ready to change something in your life, you are not going
to lose the weight (and keep it off).
People give a lot of thought, researching how to follow a specific diet:
Whether it’s South Beach, Atkins, Weight Watchers, or The Cookie Diet. They read about it and talk to their friends
about it; they search for information on the internet, and save up enough money
to buy the special bars, and sometimes a membership fee.
But they don’t give any thought to what it means to change
behaviors that have become longstanding, lifestyle habits. Any habit is difficult to break. You know that’s true if you’ve ever tried to
stop smoking or biting your nails. It is
almost an instinct when you carry out a habit, and it’s very difficult to just
stop in your tracks when the urge hits.
It’s the same with eating.
We have established habits like:
- - reaching
into the cookie jar while we read the mail
- grabbing
a candy out of a dish when we walk by a coworker’s desk
- - settling
into a cozy chair after dinner instead of going for a walk
The good news is, there are many, many habits that
contribute to eating too much and not exercising enough. And you
only have to change a few! The fact is, you do not have to perform a
complete diet overhaul and stop eating everything you’re used to and replace it
with all the “healthy” foods you’ve never liked before. And, you don’t have to start going to the gym
for 2 hours every day or start jogging two miles every morning.
You didn’t
get to this weight overnight, ingesting huge quantities of food daily. Small habits you’ve picked up over the years:
- treating yourself to a donut in the morning
- cleaning your kids’ plates after supper
- having ice cream while watching TV in the evening
- running through the fast food drive
thru window for a quick lunch
- driving down the block to a friend’s
house instead of walking
- eating everything on your plate
at a restaurant
These all add up to what might be just 50 or 100
calories a day. But over years it can result in five pounds a
year weight gain, and after 5 years that’s 25 pounds! That’s what many are looking to lose—10 or 20
pounds of slowly accumulated weight gain that won’t come off now because of bad
habits. They aren’t very
noticeable now, because they are part of our daily routine.
The key to making
changes is choosing one change at a time
so you aren’t overwhelmed and so it will be easier to stick with. You can’t really believe you will give up all
fast foods, chocolate, and desserts and start eating breakfast, packing your
lunch and going to the gym every day all at once. And that you can keep that up for more than a
_Quantum chemistry results, as found in the file_
********
Computed, not measured: a molecular structure, C32H39IrN9OS3 in a non-equilibrium geometry, with ωB97M-V/def2-TZVPD.

Results
- Orbital gap (spin up / spin down): 4.38 / 4.18 eV
- 2S+1: 2
- Highest occupied orbital energy (spin up / spin down): -12.27 / -12.29 eV
- Charge: +2

Geometry as XYZ:
```
85
Properties=species:S:1:pos:R:3:forces:R:3
Ir 0.2074 0.2596 0.5774 0.0270 0.3550 -1.7014
C 0.3538 2.0201 -3.6340 0.2798 -0.3259 -0.0644
C -0.1997 1.6324 -2.2983 -0.3073 -0.2177 -0.0032
N 0.2807 0.5940 -1.6635 -0.1690 -0.0938 3.0505
N 1.1702 -0.1910 -2.2834 0.9802 -1.1573 -0.9562
C 1.1696 -1.4508 -2.0092 0.0727 1.0887 -0.3157
S 0.0599 -2.2082 -0.9025 -0.4415 0.9277 0.9499
S 2.2174 -2.5714 -2.8120 0.1738 -0.3496 -0.1143
C 3.5524 -1.5084 -3.5041 -0.3066 -0.1197 0.1697
C 4.6731 -1.4958 -2.5160 0.0486 0.0466 0.0411
C 5.5075 -2.6043 -2.4091 0.0371 0.1559 0.0417
C 6.5249 -2.6246 -1.4723 -0.0393 -0.0509 -0.0292
C 6.7148 -1.5370 -0.6337 0.0336 0.0223 0.1083
C 5.8785 -0.4364 -0.7265 -0.0015 0.0099 0.1013
C 4.8525 -0.4183 -1.6569 0.0875 -0.0184 -0.1582
C -1.3463 2.3279 -1.7817 -0.6156 -0.2829 0.9756
C -1.8065 3.4940 -2.4178 -0.2594 0.2272 0.0448
C -2.9994 4.0929 -2.0866 0.1418 0.0164 -0.1143
C -3.8209 3.5170 -1.1087 0.3096 0.1455 -0.1993
C -3.4014 2.4096 -0.4307 0.5584 -0.6228 0.1141
C -2.1478 1.7806 -0.7020 -0.1531 1.9236 -1.4647
O -1.8317 0.7647 -0.0016 1.5619 -1.7339 1.9155
H 1.1915 1.3783 -3.8914 -0.0781 0.1161 -0.0682
H 0.6995 3.0510 -3.6021 -0.0377 0.0983 0.0365
H -0.4081 1.9393 -4.4071 -0.0445 0.0187 0.0039
H 3.1314 -0.5230 -3.6840 0.0246 -0.0344 -0.1143
H 3.8396 -1.9811 -4.4418 -0.0800 0.0486 -0.0243
H 5.3595 -3.4464 -3.0680 0.0136 -0.1341 -0.1010
H 7.1708 -3.4854 -1.4002 0.1038 -0.0790 -0.0067
H 7.5194 -1.5447 0.0856 0.0857 0.0042 0.0607
H 6.0302 0.4141 -0.0789 0.0426 0.0929 0.0604
H 4.2042 0.4437 -1.7323 -0.0695 0.1078 -0.0573
H -1.2052 3.9431 -3.1920 0.0266 0.0329 -0.1053
H -3.3129 4.9932 -2.5901 -0.0147 0.0552 -0.1056
H -4.7787 3.9575 -0.8827 -0.1300 0.0695 0.0553
H -4.0052 1.9584 0.3414 -0.0959 -0.0649 0.0795
C -0.2860 -4.8003 3.1653 0.0793 0.2075 0.0853
C -1.1355 -3.5525 2.9689 -0.2061 -0.4113 0.2979
N -0.3758 -2.5381 2.2641 -0.0563 0.0032 -0.4486
C 0.9413 -2.6042 1.9928 -0.6057 0.2197 0.1925
N 1.4198 -1.6798 1.1635 -0.2471 1.3246 -0.1167
C 2.8318 -1.6945 0.8748 0.5102 -0.1319 -0.4849
C 3.3642 -3.1207 0.8689 -0.1646 0.1442 0.1684
C 3.0929 -3.7196 2.2406 0.5794 0.0356 -0.3048
N 1.6969 -3.5319 2.5927 -0.1181 0.3310 -0.3755
C 1.1028 -4.3659 3.6225 -0.4344 -0.1938 0.2395
H -0.1940 -5.3483 2.2265 -0.0165 -0.0404 0.0069
H -0.7461 -5.4544 3.9033 -0.0155 0.0044 -0.0105
H -1.4407 -3.1543 3.9444 -0.0373 -0.0719 -0.0932
H -2.0342 -3.7839 2.3938 0.0398 0.0395 0.0805
H -0.8844 -1.8974 1.6612 0.1220 -0.1420 0.1957
H 3.3555 -1.1069 1.6388 -0.0113 0.1001 -0.0942
H 3.0015 -1.2036 -0.0870 0.0195 -0.0516 0.0988
H 4.4308 -3.1272 0.6540 0.0334 0.0059 -0.0277
H 2.8461 -3.6926 0.0970 0.0494 -0.0310 -0.0417
H 3.7336 -3.2506 2.9979 -0.0511 -0.0941 -0.0414
********
week! It’s just too much to humanly
So think about this:
-What is one habit you can change?
-Where is the best (and easiest) place for you to start?
Choose a healthier way to replace something you’ve been
doing that you know isn’t good for you.
Eat more of something good for you, less of something that
isn’t nutritious, or find a way to increase your activity.
Next week, you can add another to your list. In time you’ll have a lifestyle of healthy
habits and the weight will come off without you even feeling like you’re on a
weight loss plan!
Take the first step and write a comment to commit to making one, easy change: What will you change this week?